**Listing:**
┌──
Record 1
Diffraction record for Rb2PuTlI6. The PXRD pattern is calculated, not measured: it uses a GGA-PBE-relaxed structure and Cu Kα (weighted mean of Kα1 and Kα2).
No peak broadening, texture or thermal motion is included.

Most intense lines, 15° ≤ 2θ ≤ 90°, sorted by position:
| 2theta | d_spacing | Rel. int. |
| --- | --- | --- |
| 20.05 | 4.429 | 50 |
| 20.18 | 4.400 | 50 |
| 23.00 | 3.867 | 78 |
| 23.99 | 3.710 | 73 |
| 28.48 | 3.134 | 100 |
| 28.71 | 3.110 | 66 |
| 30.80 | 2.903 | 79 |
| 31.89 | 2.806 | 53 |
| 35.98 | 2.496 | 100 |
| 36.24 | 2.479 | 49 |

Crystal structure
```
data_Rb2PuTlI6
_symmetry_space_group_name_H-M 'P 1 21/c 1'
_symmetry_Int_Tables_number 14
_symmetry_space_group_name_Hall '-P 2ybc'
_cell_length_a 8.5127
_cell_length_b 9.2632
_cell_length_c 15.0109
_cell_angle_alpha 90.00
_cell_angle_beta 124.04
_cell_angle_gamma 90.00
loop_
_atom_site_label
_atom_site_fract_x
_atom_site_fract_y
_atom_site_fract_z
Rb1 0.2143 0.0881 0.2496
Pu1 0.5000 0.0000 0.0000
Tl1 0.0000 0.0000 0.5000
I1 0.1458 0.1797 0.9420
I2 0.2727 0.7118 0.9401
I3 0.3850 0.0382 0.7652
```

Record 2
Diffraction record for Zr2In2Ir3. The PXRD pattern is calculated, not measured: it uses a GGA-PBE-relaxed structure and Cu Kα (weighted mean of Kα1 and Kα2).
No peak broadening, texture or thermal motion is included.

Most intense lines, 15° ≤ 2θ ≤ 90°, sorted by position:
| 2theta | d_spacing | Rel. int. |
| --- | --- | --- |
| 22.49 | 3.953 | 15 |
| 23.57 | 3.774 | 13 |
| 36.33 | 2.473 | 22 |
| 38.81 | 2.320 | 100 |
| 39.77 | 2.267 | 85 |
| 56.82 | 1.620 | 20 |
| 70.31 | 1.339 | 11 |
| 70.88 | 1.330 | 21 |
| 70.97 | 1.328 | 10 |
| 72.82 | 1.299 | 11 |

Crystal structure
```
data_Zr2In2Ir3
_symmetry_space_group_name_H-M 'C 1 2/m 1'
_symmetry_Int_Tables_number 12
_symmetry_space_group_name_Hall '-C 2y'
_cell_length_a 8.0476
_cell_length_b 4.6350
_cell_length_c 7.7997
_cell_angle_alpha 90.00
_cell_angle_beta 110.20
_cell_angle_gamma 90.00
loop_
_atom_site_label
_atom_site_fract_x
_atom_site_fract_y
_atom_site_fract_z
Zr1 0.1182 0.0000 0.3536
In1 0.1296 0.5000 0.8897
Ir1 0.0000 0.5000 0.5000
Ir2 0.2429 0.0000 0.7284
```


1.
For La3Nd4Er5, a DFT-relaxed cell (GGA-PBE, Alexandria) gives the simulated powder X-ray diffraction pattern in this record (λ = 1.5418 Å (Cu Kα)).

Most intense lines, 2θ from 5° to 70°, in order of falling intensity:
d_spacing, intensity
2.962, 100
2.566, 45
2.955, 33
1.812, 32
1.544, 24
2.560, 22
1.548, 19
1.816, 16
1.546, 14
1.482, 8

```
12
Lattice="6.2756 0.0000 0.0000 0.0049 7.2436 0.0000 0.0066 0.0280 8.8973" Properties=species:S:1:pos:R:3 pbc="T T T"
La 0.0000 0.0000 0.0000
La 1.0657 1.8166 2.9509
La 5.2214 5.4550 5.9463
Nd 1.0768 5.4506 2.9563
Nd 2.0791 3.6385 5.9690
Nd 4.2080 3.6331 2.9282
Nd 5.2104 1.8210 5.9410
Er 0.0024 3.6218 0.0000
Er 2.1083 0.0202 5.9647
Er 3.1301 5.4333 0.0039
Er 3.1570 1.8383 8.8933
Er 4.1789 7.2514 2.9326
```

2.
For La7Nd4Er, a DFT-relaxed cell (GGA-PBE, Alexandria) gives the simulated powder X-ray diffraction pattern in this record (λ = 1.5418 Å (Cu Kα)).

Most intense lines, 2θ from 5° to 70°, in order of falling intensity:
d_spacing, intensity
2.910, 100
2.770, 55
2.991, 49
1.864, 38
1.582, 37
3.205, 36
2.766, 28
1.743, 23
1.652, 17
1.569, 16

```
12
Lattice="6.4603 0.0000 0.0000 -0.0003 7.4483 0.0000 -2.1516 -0.0142 8.9736" Properties=species:S:1:pos:R:3 pbc="T T T"
La 0.0000 0.0000 0.0000
La -0.0079 3.7055 5.9931
La 1.0855 5.5793 2.9637
La 3.2275 1.8870 0.0012
La 1.0809 5.5471 8.9723
La 3.2229 1.8548 6.0099
La 4.3163 3.7286 2.9805
Nd 0.0197 7.4370 5.9968
Nd 1.0715 1.8646 2.9436
Nd 3.2369 5.5695 6.0300
Nd 4.2887 -0.0029 2.9767
Er -0.0002 3.7242 0.0000
```

3.
For La7NdEr12, a DFT-relaxed cell (GGA-PBE, Alexandria) gives the simulated powder X-ray diffraction pattern in this record (λ = 1.5418 Å (Cu Kα)).

Most intense lines, 2θ from 5° to 70°, in order of falling intensity:
d_spacing, intensity
2.831, 100
3.269, 81
2.002, 74
1.707, 38
1.635, 26
5.663, 24
2.533, 13
1.416, 12
└──

**Request:**
What is needed: duplicate only the lines earlier on with the word "GGA-PBE" in them.

**Written answer:**
For La3Nd4Er5, a DFT-relaxed cell (GGA-PBE, Alexandria) gives the simulated powder X-ray diffraction pattern in this record (λ = 1.5418 Å (Cu Kα)).
For La7Nd4Er, a DFT-relaxed cell (GGA-PBE, Alexandria) gives the simulated powder X-ray diffraction pattern in this record (λ = 1.5418 Å (Cu Kα)).
For La7NdEr12, a DFT-relaxed cell (GGA-PBE, Alexandria) gives the simulated powder X-ray diffraction pattern in this record (λ = 1.5418 Å (Cu Kα)).